David Shrigley
Portrait courtesy of Canongate, artwork © David Shrigley

David Shrigley: “There is room for everything”

Short Profile

Name: David Shrigley
DOB: 17 September 1968
Place of Birth: Macclesfield, Cheshire, England, UK
Occupation: Artist

Mr. Shrigley, you are 45, married, and you live in the suburbs. Is that what being an artist looks like in the 21st century?

All my friends are artists, writers, musicians, poets, one or two people who do normal things, and nobody I know really is that crazy. Nobody really has any problems with alcohol or drugs or has many failed marriages. I mean, stuff happens in your life and everybody has problems, but most people are pretty functional.

Do people expect you to be crazier given the nature of your art?

There’ve been times when people visit my studio on occasions when I’m interviewed and they want to see more craziness, more evidence of an erratic mind or something, but that’s just not me. Everybody is what they are, you know? I dress in a certain way, I look in a certain way, and at this stage in my life I’m unable to change.

So where does your art come from? I read a critique of your work that said you could be a “philosopher on drugs” and he kind of has a point.

I don’t know, really. My work is fiction, it’s not autobiography, and the things I say, the voice of my work, isn’t necessarily my voice. It’s the voice of an invented character perhaps. It perhaps serves a cathartic purpose and it’s somehow a healthy thing for me to say what I say, albeit sounding like a philosopher on drugs. But I think the art for me is very cathartic. It’s something that I have to do.

It’s lucky that you can afford to live off of your art then, isn’t it?

I feel lucky. The majority of my friends are artists and most of them are pretty talented, yet I’m successful and don’t need to have a job. A lot of my friends don’t make a living as an artist and they have to teach at the art school or do something else to make money. So, yeah, I feel lucky. All I’ve ever wanted to do with my life is be an artist and just be in the studio. So for me that’s a privilege, that’s good luck to be able to do that every day.


How important is it to you what the art market is asking for since you depend on it for your livelihood?

## Inserted here: data records
/*
Compound: CeTh9O20
Source: the Materials Project database
Functional: PBE
Structure: relaxed

Cell lengths 6.8641, 7.9238, 8.8594 Å; angles 102.92, 97.42, 106.77 degrees
Element x y z (fractional)
Ce 0.0000 0.0000 0.0000
Th 0.0000 0.5000 0.0000
Th 0.1995 0.3991 0.3989
Th 0.1995 0.9000 0.3989
Th 0.3989 0.2993 0.8003
Th 0.4003 0.8008 0.8006
Th 0.5997 0.1992 0.1994
Th 0.6011 0.7007 0.1997
Th 0.8005 0.1000 0.6011
Th 0.8005 0.6009 0.6011
O 0.0496 0.2230 0.8515
O 0.0498 0.7277 0.8516
O 0.1501 0.1750 0.5501
O 0.1501 0.6751 0.5502
O 0.2476 0.1236 0.2475
O 0.2495 0.6250 0.2497
O 0.3469 0.0742 0.9506
O 0.3497 0.5751 0.9499
O 0.4502 0.0250 0.6503
O 0.4500 0.5252 0.6502
O 0.5500 0.4748 0.3498
O 0.5498 0.9750 0.3497
O 0.6503 0.4249 0.0501
O 0.6531 0.9258 0.0494
O 0.7505 0.3750 0.7503
O 0.7524 0.8764 0.7525
O 0.8499 0.3249 0.4498
O 0.8499 0.8250 0.4499
O 0.9502 0.2723 0.1484
O 0.9504 0.7770 0.1485

Values from the calculation:
crystal system	triclinic
calculated formation energy	-129.6	eV/f.u.
*/

The art market is essentially a good thing for me because it means that I don’t have to have a job! (Laughs) I can spend all my time in the studio. But it does distort the work. There are demands made on you to make work in the same way as somebody who makes products for a shop or for sale and that distorts your practice to some extent. To what extent it distorts it I think you do have some control over though.

Did you always want to be an artist?

I think once I realized I couldn’t be a footballer or an astronaut, I didn’t want to do anything else. Maybe from 12 or 13 I wanted to be an artist, even though I didn’t really know quite what that career entailed.

You wanted to be a football player?

Yeah, football is one of the big loves in my life. I’m a big football fan.

Which team?

I’ve followed Nottingham Forest my whole life.

They’re not that good now…

No, they’re not that good at the moment. They’re in the second division. I also follow Partick Thistle, they’re my Scottish team, in Glasgow. They are the third team of Glasgow and they only have a small amount of supporters and a small stadium, but I take a lot of pleasure following their fortune since I’ve been in Glasgow for many years. I like to go watch football and when I travel I always try to go see games in other countries and different football cultures.

I heard you speak to your German-born dog in German. Can you speak German?

Most of my German is just nouns, I don’t know a lot. But, yes, Inka likes it when people speak proper German to her. I try my best.

That means she’s bilingual?

Maybe. Why not?

“I wouldn’t necessarily advocate that all art should be comic, because that would be tedious. There is room for everything.”

Do you think it is possible for a foreigner to fully understand your British sense of humor?

I think humor is culturally specific, but that said I don’t necessarily think it’s really that necessary to speak the perfect, idiomatic language of another country in order to understand the humor. I believe that humor translates and it transcends language as well.

Do you like it when people laugh at your work?

I think if you laugh at something, you understand it on a very basic level and you find it accessible. A problem with some people looking at contemporary art is that they find it inaccessible and I think that one of the virtues of what I do is perhaps that people do find it accessible because they’re able to see the humor in it. Hopefully it’s more than just comedy. I mean, it isn’t comedy necessarily, but it is comic. But I wouldn’t necessarily advocate that all art should be comic, because that would be tedious. There is room for everything.

Sometimes people even ask you to draw something on their bodies so they can get it tattooed permanently. Most of them young, good looking women. How do you survive that?

With difficulty. It’s kind of awkward… It’s awkward, that’s all I’ll say about it. I don’t like doing it, it happened by accident, and I don’t really want to do it anymore.